Submission Guidelines for Research and Data
Before submitting your original research and/or data to UTC Scholar, please request a Data Management Consultation with the UTC Library. We will work with you to develop the appropriate descriptive standards and advise on data formats that best ensure long term digital preservation of your work. If you have already met with a librarian, you are ready to submit!- Why should I deposit my data?
┌──
Al2NiPt: optimized geometry, GGA-PBE.

Values from the calculation:
Space-group type: P4/mmm, No. 123
Theoretical density: 9.50 g/cm3
ΔH_f (0 K): -793.2 meV per atom
Electronic total energy: -5.63 eV per atom

Cell: 2.9990 2.9990 5.9832 Å, 90.00 90.00 90.00°
Last column: nearest neighbours and their distance in Å.
Fractional coordinates of all 4 atoms:
Ni1 0.0000 0.0000 0.0000  8 Al 2.53
Al1 0.5000 0.5000 0.7698  4 Ni 2.53, 4 Pt 2.67, 1 Al 2.75
Al2 0.5000 0.5000 0.2302  4 Ni 2.53, 4 Pt 2.67, 1 Al 2.75
Pt1 0.0000 0.0000 0.5000  8 Al 2.67

* * * * *

Entry 1:
BaSr2I6, relaxed, DFT PBE; space-group type = Pbcn; crystal system = orthorhombic; energy = -119.76 eV/cell; MP2020-corrected energy = -3.579 eV/atom; distance to the lowest polymorph of the same formula = 0.007 eV per atom
1.0
7.627 0.000 0.000
0.000 8.569 0.000
0.000 0.000 28.298
I Sr Ba
24 8 4
direct
0.259 0.592 0.871
0.741 0.408 0.129
0.765 0.929 0.035
0.765 0.429 0.965
0.741 0.908 0.871
0.750 0.934 0.206
0.241 0.092 0.629
0.735 0.429 0.465
0.250 0.566 0.706
0.259 0.092 0.129
0.265 0.571 0.535
0.759 0.408 0.629
0.759 0.908 0.371
0.750 0.434 0.794
0.250 0.066 0.294
0.250 0.566 0.206
0.235 0.071 0.965
0.265 0.071 0.465
0.750 0.434 0.294
0.250 0.066 0.794
0.735 0.929 0.535
0.235 0.571 0.035
0.241 0.592 0.371
0.750 0.934 0.706
0.000 0.750 0.953
0.000 0.750 0.285
0.500 0.750 0.453
0.500 0.750 0.785
0.500 0.250 0.547
0.000 0.250 0.715
0.500 0.250 0.215
0.000 0.250 0.047
0.000 0.250 0.381
0.500 0.750 0.119
0.000 0.750 0.619
0.500 0.250 0.881

Entry 2:
BaSr2I6, relaxed, DFT PBE; space-group type = C2/c; crystal system = monoclinic; energy = -59.65 eV/cell; MP2020-corrected energy = -3.567 eV/atom; distance to the lowest polymorph of the same formula = 0.020 eV per atom
1.0
7.745 4.534 0.000
-7.745 4.534 0.000
0.000 1.201 11.860
I Sr Ba
12 4 2
direct
0.610 0.697 0.866
0.303 0.390 0.634
0.066 0.452 0.305
0.242 0.978 0.467
0.934 0.548 0.695
0.548 0.934 0.195
0.452 0.066 0.805
0.978 0.242 0.967
0.022 0.758 0.033
0.758 0.022 0.533
0.390 0.303 0.134
0.697 0.610 0.366
0.606 0.296 0.555
0.296 0.606 0.055
0.394 0.704 0.445
0.704 0.394 0.945
0.032 0.968 0.750
0.968 0.032 0.250

Entry 3:
BaSr2I6, relaxed, DFT PBE; space-group type = Cmce; crystal system = orthorhombic; energy = -59.56 eV/cell; MP2020-corrected energy = -3.562 eV/atom; distance to the lowest polymorph of the same formula = 0.025 eV per atom
1.0
-12.931 0.680 -0.120
10.259 -1.024 7.835
0.424 8.139 0.509
I Sr Ba
12 4 2
direct
0.340 0.166 0.251
0.334 0.160 0.751
0.160 0.334 0.751
0.660 0.834 0.749
0.666 0.840 0.249
0.834 0.660 0.749
0.983 0.483 0.250
0.483 0.983 0.250
0.166 0.340 0.251
0.017 0.517 0.750
0.840 0.666 0.249
0.517 0.017 0.750
0.668 0.332 0.500
0.832 0.168 0.000
0.168 0.832 0.000
0.332 0.668 0.500
0.000 0.000 0.500
0.500 0.500 0.000

Entry 4:
└──
## End of the calculated crystals
- How should I document my data?
- What are my intellectual property rights?
- What am I agreeing to when I submit?
- How do I choose a Creative Commons License?
- How do I submit?
- What happens after I submit?
- How do I make revisions?
Why should I deposit my data?
Publishing, sharing and disseminating your data requires careful consideration of issues around data sensitivity and privacy, copyright, and documentation. By depositing your data in UTC Scholar, you are guaranteed a reliable place to archive the products of your research, making it easy to preserve and disseminate your scholarship for years to come. Researchers at UTC are encouraged to deposit their data in UTC Scholar to:- meet funding agency requirements for data management and sharing;
- increase the impact of your research with data citation;
- clearly document and provide evidence for your research in conjunction with published results;
- preserve data for long-term access and safeguard your investment from loss;
- and describe and share data with others to further new discoveries and research.
How should I document my data?
You should record basic information about your data in a readme.txt that accompanies your data files. The readme.txt should cover basic information about your project and the data, including:- Who? Who contributed to the project (authors, research assistants, etc.)?
- What? What kind(s) of data and analysis were used?
- When? When was the data collected? When was analysis performed? Any other pertinent dates?
- Where? Does the project involve a particular geographic area, such as the state of Minnesota, or the Twin Cities, or Antarctica?
- Why? What is the impetus for the project? What questions are you trying to answer?
- file handling, e.g. how files are named, divided, etc.
- processing steps
- file abbreviation glossary, e.g. what does file ABC1567 mean stand for?
Need help? Use our data management readme.txt template.
How do I submit?
- Make sure your data is submitted preservation-friendly formats. While we can accept other file formats, we may not be able to digitally preserve them using techniques such as migration. If you have many files, may zip them and submit them as a single submission.
Type Name Extension Text Rich Text Format
Portable Document Format.rtf
Dataset Comma Separated Value
Tab Separated Value.csv
.tsvImage Joint Photographic Experts Group
Tagged Image File Format.jpg
.tifMoving Image Audio Video Interleave
MPEG-4 Part 14.avi
.mp4Sound Broadcast Wave Format
MPEG-1 or MPEG-2 Audio Layer III.wav
.mp3 - Create a new account by clicking on My Account and clicking on the Sign up button. If you already have an account, sign in and skip ahead to step 5.
- Complete the user account form. Be sure to enter your UTC email address and choose a password you will remember. Click Sign up.
- After you've created your new account, you will see a page directing you to check your email. Check your email and click on the link in the email. This will take you back to UTC Scholar.
- Once you’ve successfully logged in to UTC Scholar, click Submit Research.
- Choose Research and Data.
- Check the box to agree to to the Non-Exclusive Distribution License.
- Fill out the form and upload your file(s). Required fields are indicated by a red flag.
What are my intellectual property rights?
Please review Appendix A: Sharing, Retention, and Ownership of Research Data published in the University of Tennessee Policy on Misconduct in Research and Service effective September 15, 2016.What am I agreeing to when I submit?
In accordance with the Statement of Policy on Patents, Copyrights, and other Intellectual Property you must agree to our Non-Exclusive Distribution License.How do I choose a Creative Commons License?
When you submit research, you will be asked to select a Creative Commons License. Here's a little information about each license:- Creative Commons Attribution 4.0
This license lets others distribute, remix, tweak, and build upon your work, even commercially, as long as they credit you for the original creation. This is the most accommodating of licenses offered. Recommended for maximum dissemination and use of licensed materials. - Creative Commons Attribution-Share Alike 4.0
This license lets others remix, tweak, and build upon your work even for commercial purposes, as long as they credit you and license their new creations under the identical terms. This license is often compared to "copyleft" free and open source software licenses. All new works based on yours will carry the same license, so any derivatives will also allow commercial use. This is the license used by Wikipedia, and is recommended for materials that would benefit from incorporating content from Wikipedia and similarly licensed projects. - Creative Commons Attribution-No Derivative Works 4.0
This license allows for redistribution, commercial and non-commercial, as long as it is passed along unchanged and in whole, with credit to you. - Creative Commons Attribution-Noncommercial 4.0
This license lets others remix, tweak, and build upon your work non-commercially, and although their new works must also acknowledge you and be non-commercial, they don’t have to license their derivative works on the same terms. - Creative Commons Attribution-Noncommercial-Share Alike 4.0
This license lets others remix, tweak, and build upon your work non-commercially, as long as they credit you and license their new creations under the identical terms. - Creative Commons Attribution-Noncommercial-No Derivative Works 4.0
This license is the most restrictive of our six main licenses, only allowing others to download your works and share them with others as long as they credit you, but they can’t change them in any way or use them commercially.
What happens after I submit?
After you submit your research, we will review the submission to ensure robust documentation and to identify potentially sensitive, private, or legally protected data. Once we've completed our review, we publish it on the site. You will be notified by e-mail or when your work is posted. We follow the procedure outline below to identify, sensitive, private, or legally protected data:- Librarians receive notification that a new Research and Data submission has occurred.
- Librarians open and review the files. IN order to determine if these files do not contain sensitive information, we do the following:
- Run software to uncover any personal identifying information.
- Visually inspect the files.
- If restricted data is discovered, we work with the author to:
- remove or obscure the restricted information from the data files (procedure varies case-to-case) and then help them resubmit;
- or reject the submission and permanently remove the files from UTC Scholar.
- Once sensitive, private, or legally protected data has been removed, librarians finalize the submission through digital preservation steps and the creation of custom metadata to promote enhanced access, discovery, and reuse.
How do I make revisions?
If the submission has been submitted, but not yet posted, you may revise it via your My Account page:- Locate the article on your My Account page, and click the title.
- Click Revise Submission from the list of options in the left sidebar.
- Enter your changes in the Revise Submission form, and click Submit at the bottom of the page to submit your changes. (You only need to modify the portion of the form that corresponds to the changes you wish to make.) Once a submission has been posted to UTC Scholar, you’ll need to contact us at to request edits.